Inappropriate Rapping

In my internship class, there is a high school ESE student that is constantly rapping loudly. They are rapping songs that are incredibly inappropriate. The teacher of the class just ignores them or tells them to stop but then doesn't do anything if the student continues. I feel like I should do something but I'm just not sure what.

Solution #1
Top Solution
I agree, giving the student some form of creative outlet may keep them preoccupied when they have “free time.” If the student is exhibiting this behavior during instructional time or during guided/independent practice activities I would separate the student so they do not distract the rest of the class. Perhaps consulting with the guidance counselor or admin to see what solutions they have.

I like this solution. Keeping the student busy with a similar creative activity is a good way for the student to express themselves as needed and stay occupied during down time.

I think this is a good approach to the situation.

Solution #2
What are you studying currently? Give the student an "extra credit" assignment to create a rap based on something you are learning. It could help keep him/her focused and channel the rapping spirit into something positive.
Solution #3
I would talk with your CT first to figure out why she's allowing this behavior to persist and ensure that she will back you up if you are going to reprimand the student. I would ask the student to please stay on task if he is rapping during the lesson. Once he is finished with the lesson, you could ask him to write down his raps or type them on a computer if they are doing it aloud. You could also offer them the opportunity to listen to music with headphones after completing the lesson if they listen quietly.

== Next to the piece, the page also holds quantum chemistry results ==
........
Entry 1:
76
Properties=species:S:1:pos:R:3 method="wB97M-V/def2-TZVPD" largest_force_ev_per_a=3.44 molar_mass_g_mol=678.598 total_charge=0 lumo_ev=-0.8 homo_energy_ev=-7.46 spin_multiplicity=1 orbital_gap_ha=0.245 e_tot_ha=-1946.7162
Rh 0.324 0.161 0.518
C -0.511 -2.908 2.415
C -1.888 -3.533 2.429
C -2.150 -4.556 3.342
C -3.397 -5.141 3.448
C -4.420 -4.679 2.629
C -4.199 -3.676 1.702
C -5.315 -3.127 0.856
C -2.911 -3.107 1.571
N -2.769 -2.064 0.676
C -1.832 -1.525 0.041
O -1.695 -0.246 -0.207
C -0.698 -2.306 -0.569
C -0.718 -3.400 -1.411
C 0.494 -3.858 -1.910
C 1.682 -3.229 -1.555
C 1.613 -2.154 -0.694
N 0.452 -1.731 -0.247
C 2.779 -1.392 -0.128
O 3.878 -1.491 -0.646
N 2.402 -0.648 0.940
C 3.348 -0.352 1.960
C 3.235 0.823 2.718
C 2.048 1.702 2.521
C 4.195 1.157 3.663
C 5.273 0.326 3.909
C 5.313 -0.895 3.264
C 4.353 -1.274 2.328
C 4.404 -2.686 1.804
H -0.085 -2.904 3.418
H -0.544 -1.876 2.060
H 0.184 -3.445 1.762
H -1.348 -4.890 3.994
H -3.576 -5.928 4.169
H -5.417 -5.103 2.719
H -5.530 -2.093 1.142
H -6.223 -3.722 0.970
H -5.040 -3.100 -0.200
H -1.657 -3.863 -1.680
H 0.507 -4.711 -2.576
H 2.646 -3.548 -1.924
H 2.092 2.234 1.570
H 1.949 2.434 3.323
H 1.156 1.066 2.513
H 4.080 2.081 4.221
H 6.035 0.599 4.627
H 6.108 -1.597 3.498
H 5.019 -3.301 2.460
H 4.817 -2.731 0.797
H 3.400 -3.123 1.760
C 2.336 1.776 -2.917
C 1.931 3.102 -2.857
C 1.022 3.499 -1.891
C 0.518 2.572 -0.985
C 0.966 1.247 -1.027
C 1.868 0.846 -1.994
C -0.521 2.873 -0.002
C -1.405 3.972 -0.089
C -2.465 4.044 0.755
C -2.684 3.020 1.702
C -3.816 2.980 2.549
C -3.988 1.952 3.425
C -3.010 0.934 3.523
C -1.900 0.964 2.735
C -1.732 1.986 1.779
N -0.655 1.959 0.933
H 3.037 1.456 -3.678
H 2.324 3.824 -3.561
H 0.719 4.538 -1.828
H 2.227 -0.168 -2.056
H -1.253 4.721 -0.853
H -3.167 4.867 0.691
H -4.551 3.774 2.476
H -4.870 1.912 4.050
H -3.141 0.127 4.231
H -1.154 0.188 2.825

Entry 2:
83
Properties=species:S:1:pos:R:3 method="wB97M-V/def2-TZVPD" largest_force_ev_per_a=2.80 molar_mass_g_mol=783.779 total_charge=-1 lumo_ev=2.3 homo_energy_ev=-4.30 spin_multiplicity=1 relative_energy_kcal_mol=28.1 orbital_gap_ha=0.243 e_tot_ha=-5408.5689
Ca 0.015 0.056 0.264
O -3.916 -0.587 2.177
C -3.003 -0.104 1.500
N -1.714 0.046 1.790
C -1.238 -0.202 3.070
C -1.978 0.104 4.210
C -1.445 -0.059 5.477
C -0.144 -0.507 5.624
C 0.612 -0.807 4.506
C 0.086 -0.688 3.217
N 0.775 -0.975 2.060
C 1.871 -1.718 2.058
O 2.401 -2.349 2.983
C 2.524 -1.805 0.700
C 3.796 -2.378 0.629
C 4.423 -2.485 -0.595
C 3.752 -2.028 -1.721
C 2.493 -1.470 -1.556
N 1.895 -1.354 -0.379
C -3.350 0.541 0.179
C -4.627 1.089 0.040
C -4.911 1.845 -1.080
C -3.933 1.959 -2.057
C -2.717 1.315 -1.864
N -2.417 0.655 -0.758
H -2.992 0.461 4.096
H -2.061 0.149 6.342
H 0.275 -0.627 6.615
H 1.619 -1.169 4.618
H 4.249 -2.718 1.547
H 5.411 -2.918 -0.674
H 4.194 -2.104 -2.704
H 1.926 -1.111 -2.412
H -5.348 0.909 0.823
H -5.870 2.337 -1.185
H -4.116 2.523 -2.960
H -1.944 1.315 -2.621
S 0.037 0.126 -3.203
C 1.126 1.059 -4.156
C 1.070 0.985 -5.554
........

This is the approach that I think the student needs.

Solution #4
What if you asked the student to rap about the certain topic you are learning? Instead of having them submit a worksheet or take a test, have them write a rap about the topic. Then they can perform it. This allows them to use this outlet for learning. Do you have a reward or behavior chart in the class? Maybe if they continue to rap inappropriately, you can move their name down or a certain privledge can be revoked. Or, if you use my former suggestion, if they continue to rap loudly and inappropriately, they won't get the privilege of rapping in front of the class. Just a thought!
Solution #5
Instead of telling them to stop, create an assignment for them that involves rapping! This will allow them to access that outlet of creativity and encourage them to learn.
Solution #6
I agree that giving them a way to release their creativity by creating raps based on the instruction. I would also give more of a consequence if the problem continues
Solution #7
hello i suggest you make an assignment about rapping or one that is creative and uses rapping as the source of the assignment for educational use.
Solution #8
I would let them know that they are having some free time to listen to music but it still needs to be school appropriate or the music provide out be taken away.
Solution #9
hello i suggest you make an assignment about rapping or one that is creative and uses rapping as the source of the assignment for educational use.
Solution #10
You could have the student write down the rap or give students lots of time for collaborative learning to expel some of that energy. However, there may be a reason your CT is ignoring them, as bringing attention to them may increase the likelihood of it!
Solution #11
I would explain to the student that during instructional time the focus needs to be on the lessons. That way all the students are able to learn with out disruptions. During free time the student may rap but it needs to be school appropriate. Addressing the issue head on is the best way for the student to know there is an issue. If they do not know there is an issue they do not know how to fix it.
Solution #12
I would definitely have these students try and make creative raps, maybe encouraging them to rap about the class and the material!
Solution #13
I would tell the student that he must finish his assignments and then he can put in his headphones and listen to his music quietly. I would speak to him privately (with the CT's permission) about how the rapping is inappropriate and distracting to students. I also like the idea of incorporating some assignments into his rapping to help him learn.
Solution #14
I would remind the student to review the code of conduct to reiterate what type of language is appropriate in the classroom. Also, you should review the classroom management expectations with the student, and explain that the outbursts are disruptive to everyone in the classroom.
Solution #15
I would pull the student aside and suggest that they are distracting the class. No matter what I would not demean their ability, but I would ask them to avoid doing it in a setting that requires focus to succeed.
Solution #16
Consequences for inappropiate rapping should occur especially if you told them multiple times before stop rapping loudly when its disrupting the class
Solution #17
I would give the student 2 choices, stop rapping or some form of consequence that you know they won't like. Telling them to "stop" doesn't give them and incentive to do so. There needs to be some form of plan in place, otherwise the student won't care.

I do not agree with this solution. I feel the student be given a task or positive reinforcement when they stop.